### Given
-- begin --
# 1
Sm5Dy2Sn4 | Alexandria | PBE-GGA | relaxed; symmetry = C2/m, No. 12; ΔE_f = -0.413 eV per atom
1.0
4.422 0.000 0.000
0.000 7.756 -0.950
-2.211 -3.695 10.908
Sm Dy Sn
5 2 4
direct
0.500 0.000 0.000
0.827 0.095 0.654
0.851 0.654 0.702
0.173 0.905 0.346
0.149 0.346 0.298
0.572 0.543 0.144
0.428 0.457 0.856
0.979 0.251 0.959
0.284 0.321 0.568
0.021 0.749 0.041
0.716 0.679 0.432


# 2
LiPmTmBe | Alexandria | PBE-GGA | relaxed; symmetry = F-43m, No. 216; ΔE_f = 0.146 eV per atom
1.0
5.016 0.000 0.000
2.508 4.344 0.000
2.508 1.448 4.095
Pm Tm Be Li
1 1 1 1
direct
0.500 0.500 0.500
0.000 0.000 0.000
0.750 0.750 0.750
0.250 0.250 0.250


# 3
Nb2VFe | Alexandria | PBE-GGA | relaxed; symmetry = P4/mmm, No. 123; excess energy over the best structure of this formula in the dataset = 0.010 eV per atom; ΔE_f = -0.040 eV per atom
1.0
3.120 0.000 0.000
0.000 4.388 0.000
0.000 0.000 4.388
V Nb Fe
1 2 1
direct
0.500 0.000 0.000
0.000 0.000 0.500
0.000 0.500 0.000
0.500 0.500 0.500


# 4
BaSn2Au8 | Alexandria | PBE-GGA | relaxed; symmetry = P4/mmm, No. 123; ΔE_f = -0.102 eV per atom
1.0
5.566 0.000 0.000
0.000 5.566 0.000
0.000 0.000 9.839
Sn Au Ba
2 8 1
direct
0.000 0.500 0.000
0.500 0.000 0.000
0.752 0.752 0.220
0.248 0.248 0.220
0.248 0.752 0.780
0.248 0.752 0.220
0.248 0.248 0.780
0.752 0.752 0.780
0.752 0.248 0.220
0.752 0.248 0.780
0.500 0.500 0.500


# 5
CePuThRe | Alexandria | PBE-GGA | relaxed; symmetry = F-43m, No. 216; ΔE_f = 0.162 eV per atom
1.0
-2.784 -3.268 -2.715
2.067 -4.337 -1.652
-1.423 -4.430 2.039
Pu Ce Re Th
1 1 1 1
direct
0.750 0.750 0.750
0.000 0.000 0.000
0.500 0.500 0.500
0.250 0.250 0.250


# 6
Cs2NaGeCl6 | Alexandria | PBE-GGA | relaxed; symmetry = Fm-3m, No. 225; energy relative to the elements, uncorrected = -1.477 eV per atom
1.0
-6.159 -4.302 -0.470
4.173 -6.119 1.341
-1.805 -4.619 5.664
Na Cl Ge Cs
1 6 1 2
direct
0.500 0.500 0.000
0.235 0.235 0.000
0.235 0.235 0.531
0.765 0.765 0.000
0.765 0.765 0.469
0.765 0.235 0.000
0.235 0.765 0.000
0.000 0.000 0.000
0.250 0.750 0.500
0.750 0.250 0.500


# 7
Y3In3Ir2 | Alexandria | PBE-GGA | relaxed; symmetry = Pnma, No. 62; ΔE_f = -0.581 eV per atom
1.0
-1.810 -0.829 5.373
7.221 -0.752 2.316
0.836 16.963 2.900
In Ir Y
12 8 12
direct
0.606 0.322 0.030
0.606 0.322 0.470
0.894 0.822 0.030
0.666 0.329 0.750
0.394 0.678 0.970
0.834 0.829 0.750
0.394 0.678 0.530
0.106 0.178 0.530
0.106 0.178 0.970
0.166 0.171 0.250
0.334 0.671 0.250
0.894 0.822 0.470
0.889 0.118 0.378
0.389 0.382 0.878
0.111 0.882 0.878
0.111 0.882 0.622
0.389 0.382 0.622
0.611 0.618 0.122
0.611 0.618 0.378
0.889 0.118 0.122
0.896 0.537 0.612
0.896 0.537 0.888
0.604 0.037 0.612
0.336 0.662 0.750
0.664 0.338 0.250
0.104 0.463 0.112
0.104 0.463 0.388
0.604 0.037 0.888
0.836 0.838 0.250
0.164 0.162 0.750
0.396 0.963 0.388
0.396 0.963 0.112


# 8
SmY5Er4 | Alexandria | PBE-GGA | relaxed; symmetry = I4, No. 79; ΔE_f = 0.308 eV per atom
1.0
6.309 0.000 0.000
3.155 7.204 0.000
3.155 0.000 7.204
Y Er Sm
5 4 1
direct
0.096 0.620 0.090
0.806 0.380 0.910
0.186 0.910 0.620
0.716 0.090 0.380
0.676 0.000 0.000
0.102 0.300 0.401
0.802 0.700 0.599
0.502 0.599 0.300
0.401 0.401 0.700
0.222 0.000 0.000


# 9
CaZn2Os | Alexandria | PBE-GGA | relaxed; symmetry = Cm, No. 8; ΔE_f = 0.273 eV per atom
1.0
5.353 -0.023 0.019
4.319 3.163 0.019
1.932 0.627 4.109
Ca Zn Os
1 2 1
direct
0.505 0.505 0.498
0.991 0.991 0.016
0.731 0.731 0.767
0.273 0.273 0.219


# 10
Sn4P2Au | Alexandria | PBE-GGA | relaxed; symmetry = P-1, No. 2; ΔE_f = -0.022 eV per atom
1.0
3.824 0.009 -0.013
1.902 7.073 3.519
-0.023 0.432 6.813
P Au Sn
2 1 4
direct
0.308 0.385 0.283
0.692 0.615 0.717
0.000 0.000 0.000
0.649 0.705 0.050
0.078 0.840 0.455
0.351 0.295 0.950
0.922 0.160 0.545


# 11
VHgP3 | Alexandria | PBE-GGA | relaxed; symmetry = Pm-3m, No. 221; excess energy over the best structure of this formula in the dataset = 0.000 eV per atom; ΔE_f = 0.315 eV per atom
1.0
-4.431 0.901 0.806
-1.199 -2.877 -3.373
-0.157 -3.465 3.011
V P Hg
1 3 1
direct
-- stop --

### Job
Next, count the lines above that contain the word "Cl" and give the number alone.

### Response
1